_Source_
## Th2Zn2Cu3 (GGA-PBE)

Data for crystalline Th2Zn2Cu3 at its relaxed geometry.

```
Th2Zn2Cu3
1.0
2.072 -9.217 0.000
2.072 9.217 0.000
0.000 0.000 7.068
Th Zn Cu
4 4 6
direct
0.060 0.940 0.750 Th
0.153 0.847 0.250 Th
0.847 0.153 0.750 Th
0.940 0.060 0.250 Th
0.309 0.691 0.062 Zn
0.309 0.691 0.438 Zn
0.691 0.309 0.562 Zn
0.691 0.309 0.938 Zn
0.227 0.773 0.750 Cu
0.441 0.559 0.570 Cu
0.441 0.559 0.930 Cu
0.559 0.441 0.070 Cu
0.559 0.441 0.430 Cu
0.773 0.227 0.250 Cu
```

Computed properties:
ΔE_f   -0.1954 eV/atom
Space-group type   Cmcm, No. 63
Density of states at the Fermi level   0.75 states/eV per atom

## Th4Zn5Cu2 (GGA-PBE)

Data for crystalline Th4Zn5Cu2 at its relaxed geometry.

```
Th4Zn5Cu2
1.0
7.050 0.000 0.000
0.000 3.840 0.000
-0.555 0.000 9.119
Th Zn Cu
4 5 2
direct
0.175 0.000 0.372 Th
0.257 0.000 0.938 Th
0.743 0.000 0.062 Th
0.825 0.000 0.628 Th
0.198 0.500 0.657 Zn
0.441 0.500 0.200 Zn
0.500 0.500 0.500 Zn
0.559 0.500 0.800 Zn
0.802 0.500 0.343 Zn
0.063 0.500 0.135 Cu
0.937 0.500 0.865 Cu
```

Computed properties:
ΔE_f   -0.1351 eV/atom
Space-group type   P2/m, No. 10
Density of states at the Fermi level   0.94 states/eV per atom

## Th3Zn4Cu4 (GGA-PBE)

Data for crystalline Th3Zn4Cu4 at its relaxed geometry.

```
Th3Zn4Cu4
1.0
-2.233 3.299 7.146
2.233 -3.299 7.146
2.233 3.299 -7.146
Th Zn Cu
3 4 4
direct
0.000 0.000 0.000 Th
0.364 0.864 0.500 Th
0.636 0.136 0.500 Th
0.214 0.214 0.000 Zn
0.312 0.500 0.812 Zn
0.688 0.500 0.188 Zn
0.786 0.786 0.000 Zn
0.022 0.332 0.690 Cu
0.357 0.668 0.690 Cu
0.643 0.332 0.310 Cu
0.978 0.668 0.310 Cu
```

Computed properties:
ΔE_f   -0.1874 eV/atom
Space-group type   Immm, No. 71
Energy above the most stable polymorph in this dataset   0.23 eV per formula unit
Density of states at the Fermi level   0.90 states/eV per atom

## ThZnCu5 (GGA-PBE)

Data for crystalline ThZnCu5 at its relaxed geometry.

```
ThZnCu5
1.0
8.190 0.000 0.000
0.000 5.094 0.000
0.000 0.000 10.277
Th Zn Cu
4 4 20
direct
0.242 0.250 0.062 Th
0.258 0.750 0.562 Th
0.742 0.250 0.438 Th
0.758 0.750 0.938 Th
0.145 0.750 0.861 Zn
0.355 0.250 0.361 Zn
0.645 0.750 0.639 Zn
0.855 0.250 0.139 Zn
0.063 0.750 0.098 Cu
0.065 0.004 0.309 Cu
0.065 0.496 0.309 Cu
0.093 0.250 0.515 Cu
0.182 0.250 0.753 Cu
0.318 0.750 0.253 Cu
0.407 0.750 0.015 Cu
0.435 0.504 0.809 Cu
0.435 0.996 0.809 Cu
0.437 0.250 0.598 Cu
0.563 0.750 0.402 Cu
0.565 0.004 0.191 Cu
0.565 0.496 0.191 Cu
0.593 0.250 0.985 Cu
0.682 0.250 0.747 Cu
0.818 0.750 0.247 Cu
0.907 0.750 0.485 Cu
0.935 0.504 0.691 Cu
0.935 0.996 0.691 Cu
0.937 0.250 0.902 Cu
```

Computed properties:
ΔE_f   -0.1859 eV/atom
Space-group type   Pnma, No. 62
Density of states at the Fermi level   0.67 states/eV per atom

## Th4ZnCu3 (GGA-PBE)

Data for crystalline Th4ZnCu3 at its relaxed geometry.

```
Th4ZnCu3
1.0
3.722 0.000 0.000
0.000 4.283 0.000
0.000 0.000 11.752
Th Zn Cu
4 1 3
direct
0.000 0.000 0.000 Th
0.000 0.500 0.296 Th
0.500 0.000 0.490 Th
0.500 0.500 0.804 Th
0.000 0.000 0.708 Zn
0.000 0.500 0.584 Cu
0.500 0.000 0.210 Cu
0.500 0.500 0.085 Cu
```

Computed properties:
ΔE_f   -0.1325 eV/atom
Space-group type   Pmm2, No. 25
Density of states at the Fermi level   1.02 states/eV per atom

## Th3Zn2Cu3 (GGA-PBE)

Data for crystalline Th3Zn2Cu3 at its relaxed geometry.

```
Th3Zn2Cu3
1.0
2.165 -5.579 0.000
2.165 5.579 0.000
0.000 0.000 13.827
Th Zn Cu
6 4 6
direct
0.076 0.924 0.614 Th
0.076 0.924 0.886 Th
0.361 0.639 0.750 Th
0.639 0.361 0.250 Th
0.924 0.076 0.114 Th
0.924 0.076 0.386 Th
0.215 0.785 0.086 Zn
0.215 0.785 0.414 Zn
0.785 0.215 0.586 Zn
0.785 0.215 0.914 Zn
0.337 0.663 0.250 Cu
0.393 0.607 0.538 Cu
0.393 0.607 0.962 Cu
0.607 0.393 0.038 Cu
0.607 0.393 0.462 Cu
0.663 0.337 0.750 Cu
```

Computed properties:
ΔE_f   -0.1938 eV/atom
Space-group type   Cmcm, No. 63
Energy above the most stable polymorph in this dataset   0.00 eV per formula unit
Density of states at the Fermi level   0.97 states/eV per atom

## ThZn2Cu4 (GGA-PBE)

_Activity_
Please repeat all of the entries earlier on exactly.

_Completed_
## Th2Zn2Cu3 (GGA-PBE)

Data for crystalline Th2Zn2Cu3 at its relaxed geometry.

```
Th2Zn2Cu3
1.0
2.072 -9.217 0.000
2.072 9.217 0.000
0.000 0.000 7.068
Th Zn Cu
4 4 6
direct
0.060 0.940 0.750 Th
0.153 0.847 0.250 Th
0.847 0.153 0.750 Th
0.940 0.060 0.250 Th
0.309 0.691 0.062 Zn
0.309 0.691 0.438 Zn
0.691 0.309 0.562 Zn
0.691 0.309 0.938 Zn
0.227 0.773 0.750 Cu
0.441 0.559 0.570 Cu
0.441 0.559 0.930 Cu
0.559 0.441 0.070 Cu
0.559 0.441 0.430 Cu
0.773 0.227 0.250 Cu
```

Computed properties:
ΔE_f   -0.1954 eV/atom
Space-group type   Cmcm, No. 63
Density of states at the Fermi level   0.75 states/eV per atom

## Th4Zn5Cu2 (GGA-PBE)

Data for crystalline Th4Zn5Cu2 at its relaxed geometry.

```
Th4Zn5Cu2
1.0
7.050 0.000 0.000
0.000 3.840 0.000
-0.555 0.000 9.119
Th Zn Cu
4 5 2
direct
0.175 0.000 0.372 Th
0.257 0.000 0.938 Th
0.743 0.000 0.062 Th
0.825 0.000 0.628 Th
0.198 0.500 0.657 Zn
0.441 0.500 0.200 Zn
0.500 0.500 0.500 Zn
0.559 0.500 0.800 Zn
0.802 0.500 0.343 Zn
0.063 0.500 0.135 Cu
0.937 0.500 0.865 Cu
```

Computed properties:
ΔE_f   -0.1351 eV/atom
Space-group type   P2/m, No. 10
Density of states at the Fermi level   0.94 states/eV per atom

## Th3Zn4Cu4 (GGA-PBE)

Data for crystalline Th3Zn4Cu4 at its relaxed geometry.

```
Th3Zn4Cu4
1.0
-2.233 3.299 7.146
2.233 -3.299 7.146
2.233 3.299 -7.146
Th Zn Cu
3 4 4
direct
0.000 0.000 0.000 Th
0.364 0.864 0.500 Th
0.636 0.136 0.500 Th
0.214 0.214 0.000 Zn
0.312 0.500 0.812 Zn
0.688 0.500 0.188 Zn
0.786 0.786 0.000 Zn
0.022 0.332 0.690 Cu
0.357 0.668 0.690 Cu
0.643 0.332 0.310 Cu
0.978 0.668 0.310 Cu
```

Computed properties:
ΔE_f   -0.1874 eV/atom
Space-group type   Immm, No. 71
Energy above the most stable polymorph in this dataset   0.23 eV per formula unit
Density of states at the Fermi level   0.90 states/eV per atom

## ThZnCu5 (GGA-PBE)

Data for crystalline ThZnCu5 at its relaxed geometry.

```
ThZnCu5
1.0
8.190 0.000 0.000
0.000 5.094 0.000
0.000 0.000 10.277
Th Zn Cu
4 4 20
direct
0.242 0.250 0.062 Th
0.258 0.750 0.562 Th
0.742 0.250 0.438 Th
0.758 0.750 0.938 Th
0.145 0.750 0.861 Zn
0.355 0.250 0.361 Zn
0.645 0.750 0.639 Zn
0.855 0.250 0.139 Zn
0.063 0.750 0.098 Cu
0.065 0.004 0.309 Cu
0.065 0.496 0.309 Cu
0.093 0.250 0.515 Cu
0.182 0.250 0.753 Cu
0.318 0.750 0.253 Cu
0.407 0.750 0.015 Cu
0.435 0.504 0.809 Cu
0.435 0.996 0.809 Cu
0.437 0.250 0.598 Cu
0.563 0.750 0.402 Cu
0.565 0.004 0.191 Cu
0.565 0.496 0.191 Cu
0.593 0.250 0.985 Cu
0.682 0.250 0.747 Cu
0.818 0.750 0.247 Cu
0.907 0.750 0.485 Cu
0.935 0.504 0.691 Cu
0.935 0.996 0.691 Cu
0.937 0.250 0.902 Cu
```

Computed properties:
ΔE_f   -0.1859 eV/atom
Space-group type   Pnma, No. 62
Density of states at the Fermi level   0.67 states/eV per atom

## Th4ZnCu3 (GGA-PBE)

Data for crystalline Th4ZnCu3 at its relaxed geometry.

```
Th4ZnCu3
1.0
3.722 0.000 0.000
0.000 4.283 0.000
0.000 0.000 11.752
Th Zn Cu
4 1 3
direct
0.000 0.000 0.000 Th
0.000 0.500 0.296 Th
0.500 0.000 0.490 Th
0.500 0.500 0.804 Th
0.000 0.000 0.708 Zn
0.000 0.500 0.584 Cu
0.500 0.000 0.210 Cu
0.500 0.500 0.085 Cu
```

Computed properties:
ΔE_f   -0.1325 eV/atom
Space-group type   Pmm2, No. 25
Density of states at the Fermi level   1.02 states/eV per atom

## Th3Zn2Cu3 (GGA-PBE)

Data for crystalline Th3Zn2Cu3 at its relaxed geometry.

```
Th3Zn2Cu3
1.0
2.165 -5.579 0.000
2.165 5.579 0.000
0.000 0.000 13.827
Th Zn Cu
6 4 6
direct
0.076 0.924 0.614 Th
0.076 0.924 0.886 Th
0.361 0.639 0.750 Th
0.639 0.361 0.250 Th
0.924 0.076 0.114 Th
0.924 0.076 0.386 Th
0.215 0.785 0.086 Zn
0.215 0.785 0.414 Zn
0.785 0.215 0.586 Zn
0.785 0.215 0.914 Zn
0.337 0.663 0.250 Cu
0.393 0.607 0.538 Cu
0.393 0.607 0.962 Cu
0.607 0.393 0.038 Cu
0.607 0.393 0.462 Cu
0.663 0.337 0.750 Cu
```

Computed properties:
ΔE_f   -0.1938 eV/atom
Space-group type   Cmcm, No. 63
Energy above the most stable polymorph in this dataset   0.00 eV per formula unit
Density of states at the Fermi level   0.97 states/eV per atom

## ThZn2Cu4 (GGA-PBE)